Entries:
(1)
A molecular structure, C27H47IN7SbV, computed with the ωB97M-V functional and the def2-TZVPD basis.

```
! wB97M-V def2-TZVPD RIJCOSX def2/J DEFGRID3
* xyz 2 4
V -1.361 0.620 0.057
C -2.910 -2.981 -1.851
C -2.246 -1.711 -1.432
N -2.342 -1.168 -0.267
C -3.178 -1.676 0.813
C -2.623 -1.186 2.159
N -2.047 0.191 2.139
C -2.948 1.278 2.573
C -3.903 1.665 1.461
N -3.173 1.963 0.205
C -2.776 3.395 0.010
C -1.249 3.592 0.009
N -0.740 2.468 -0.758
C -0.379 2.514 -1.989
C -0.070 3.753 -2.763
C -0.431 1.185 -2.665
C -0.054 0.882 -3.960
C -0.374 -0.377 -4.462
C -1.086 -1.283 -3.687
C -1.423 -0.926 -2.388
N -1.061 0.272 -1.904
H -3.858 -3.121 -1.337
H -2.264 -3.829 -1.609
H -3.103 -2.998 -2.922
H -3.228 -2.767 0.837
H -4.198 -1.316 0.652
H -1.812 -1.854 2.448
H -3.396 -1.270 2.927
H -1.263 0.176 2.782
H -2.320 2.132 2.837
H -3.517 1.001 3.466
H -4.515 2.513 1.778
H -4.586 0.840 1.257
H -3.806 1.735 -0.553
H -3.245 4.034 0.759
H -3.150 3.709 -0.965
H -0.840 3.526 1.019
H -1.013 4.578 -0.395
H 0.309 4.540 -2.116
H -0.966 4.123 -3.268
H 0.675 3.555 -3.531
H 0.458 1.603 -4.580
H -0.093 -0.639 -5.473
H -1.374 -2.241 -4.094
I -0.407 -6.968 0.679
C 0.194 -5.221 -0.230
C 0.929 -5.074 -1.383
N 1.057 -3.745 -1.579
N 0.455 -3.012 -0.631
C -0.069 -3.908 0.193
H 1.361 -5.801 -2.049
H 1.573 -3.283 -2.309
H -0.609 -3.595 1.073
C 4.181 0.787 -0.570
C 2.720 0.493 -0.900
C 2.599 -0.725 -1.815
Sb 1.389 0.247 0.788
C 2.110 -1.481 1.874
C 3.609 -1.555 2.140
C 1.293 -1.620 3.158
C 1.866 1.986 2.009
C 3.032 1.837 2.982
C 2.061 3.212 1.113
H 4.705 1.102 -1.476
H 4.691 -0.099 -0.197
H 4.302 1.576 0.170
H 2.296 1.363 -1.413
H 3.004 -1.611 -1.319
H 3.178 -0.568 -2.730
H 1.562 -0.934 -2.090
H 1.832 -2.294 1.202
H 3.979 -0.710 2.717
H 4.184 -1.619 1.218
H 3.822 -2.460 2.714
H 1.466 -0.796 3.852
H 1.566 -2.540 3.679
H 0.221 -1.674 2.950
H 0.948 2.129 2.590
H 3.974 1.681 2.455
H 2.896 1.015 3.682
H 3.138 2.753 3.570
H 3.046 3.201 0.647
H 2.000 4.126 1.708
H 1.322 3.281 0.311
*
```

The LUMO energy (spin up / spin down) comes out at -5.9 / -6.3 eV. The value obtained for the electronic energy is -79506.574 eV. The expectation value of S² is 3.776. For the relative energy (zero: lowest compared OMol25 entry of this formula, charge and spin), the calculation gives 4.4 kJ/mol. The value obtained for the HOMO-LUMO gap (spin up / spin down) is 6.83 / 6.85 eV. For the HOMO energy (spin up / spin down), the calculation gives -12.718 / -13.132 eV.



(2)
2 unconnected molecules or ions with the total composition C27H48BF2N3O5S, computed with the ωB97M-V functional and the def2-TZVPD basis.

```
! wB97M-V def2-TZVPD RIJCOSX def2/J DEFGRID3
* xyz 0 1
C -3.888 -6.468 8.256
C -4.030 -6.459 6.643
C -2.721 -5.875 5.901
C -3.042 -4.592 4.970
C -1.784 -4.350 3.972
C -1.449 -2.784 3.732
C -2.093 -2.217 2.353
C -1.653 -0.670 2.141
C -0.907 -0.416 0.747
N -0.670 1.025 0.418
C -1.542 2.161 0.845
C -2.930 2.265 0.079
C -3.027 3.311 -1.099
C -4.375 3.493 -1.856
C -5.686 2.705 -1.525
C -7.064 2.976 -2.318
C -5.579 1.650 -0.372
C -4.221 1.465 0.398
C 0.398 1.309 -0.305
N 0.884 2.623 -0.813
C 1.685 2.364 -2.084
C 1.770 0.762 -2.226
C 3.071 0.104 -2.951
C 4.263 1.147 -3.209
C 4.031 2.149 -4.447
C 5.313 2.364 -5.391
C 6.702 2.559 -4.610
O 7.436 1.341 -4.352
C 7.848 0.681 -5.573
S 0.418 0.286 -3.461
O 0.763 0.766 -4.862
O -0.917 0.871 -3.112
F 0.408 -1.416 -3.472
N 1.462 0.378 -0.828
B 2.513 0.585 0.218
O 2.057 0.583 1.612
O 3.918 0.784 -0.004
C 4.375 2.093 0.425
H -4.648 -7.213 8.711
H -2.840 -6.831 8.567
H -4.062 -5.423 8.713
H -4.200 -7.544 6.301
H -4.993 -5.883 6.410
H -1.914 -5.657 6.689
H -2.294 -6.724 5.245
H -3.993 -4.851 4.365
H -3.230 -3.674 5.623
H -2.020 -4.791 2.941
H -0.876 -4.833 4.484
H -0.316 -2.611 3.764
H -1.914 -2.208 4.607
H -1.785 -2.905 1.495
H -3.226 -2.260 2.477
H -0.903 -0.419 2.981
H -2.573 -0.021 2.325
H -1.530 -0.888 -0.106
H 0.064 -1.042 0.780
H -1.786 2.068 1.973
H -1.037 3.197 0.744
H -2.078 3.905 -1.340
H -4.430 4.271 -2.688
H -7.797 3.372 -1.512
Exercise:
Next, give back the lines further above from the one with "0.884 2.623" to the one with "-1.786 2.068" with every line break kept.
Done:
N 0.884 2.623 -0.813
C 1.685 2.364 -2.084
C 1.770 0.762 -2.226
C 3.071 0.104 -2.951
C 4.263 1.147 -3.209
C 4.031 2.149 -4.447
C 5.313 2.364 -5.391
C 6.702 2.559 -4.610
O 7.436 1.341 -4.352
C 7.848 0.681 -5.573
S 0.418 0.286 -3.461
O 0.763 0.766 -4.862
O -0.917 0.871 -3.112
F 0.408 -1.416 -3.472
N 1.462 0.378 -0.828
B 2.513 0.585 0.218
O 2.057 0.583 1.612
O 3.918 0.784 -0.004
C 4.375 2.093 0.425
H -4.648 -7.213 8.711
H -2.840 -6.831 8.567
H -4.062 -5.423 8.713
H -4.200 -7.544 6.301
H -4.993 -5.883 6.410
H -1.914 -5.657 6.689
H -2.294 -6.724 5.245
H -3.993 -4.851 4.365
H -3.230 -3.674 5.623
H -2.020 -4.791 2.941
H -0.876 -4.833 4.484
H -0.316 -2.611 3.764
H -1.914 -2.208 4.607
H -1.785 -2.905 1.495
H -3.226 -2.260 2.477
H -0.903 -0.419 2.981
H -2.573 -0.021 2.325
H -1.530 -0.888 -0.106
H 0.064 -1.042 0.780
H -1.786 2.068 1.973